-- Wanted --
Now work out how many lines below have the word "angles" in them; a number is enough.
-- Input --
-- begin --
The following is a simulated powder diffractogram of SrLiLa3MnO8. It was derived from a DFT-relaxed cell (GGA+U, Alexandria), using Cu Kα (λ = 1.5418 Å).
Lines closer than 0.1° are merged.

Structural model:
Cell lengths 5.433, 12.670, 10.892 Å; angles 90.00, 90.00, 90.00 degrees
Space group Cmcm (No. 63)
Symmetry-distinct sites (fractional):
Sr (0.000, 0.140, 0.250) x4
Li (0.000, 0.000, 0.000) x4
La (0.000, 0.135, 0.750) x4
La (0.000, 0.363, 0.501) x8
Mn (0.000, 0.498, 0.750) x4
O (0.000, 0.183, 0.518) x8
O (0.000, 0.337, 0.750) x4
O (0.000, 0.342, 0.250) x4
O (0.244, 0.500, 0.128) x16

Top 6 peaks for 5 to 70 degrees two-theta, in order of rising 2θ:
2θ (°), I_rel, h k l
24.18, 58, 1 1 2
31.46, 100, 1 3 2
32.93, 78, 2 0 0
42.76, 30, 0 6 0
43.88, 56, 2 4 0
47.26, 41, 2 0 4


The following is a simulated powder diffractogram of Mn2O3F. It was derived from a DFT-relaxed cell (GGA+U, Alexandria), using Cu Kα (λ = 1.5418 Å).
Lines closer than 0.1° are merged.

Structural model:
Cell lengths 6.055, 6.338, 6.586 Å; angles 90.00, 90.00, 90.00 degrees
Space group Imma (No. 74)
Symmetry-distinct sites (fractional):
Mn (0.000, 0.250, 0.225) x4
Mn (0.250, 0.250, 0.750) x4
O (0.000, 0.250, 0.936) x4
O (0.250, 0.058, 0.250) x8
F (0.000, 0.250, 0.527) x4

Top 6 peaks for 5 to 70 degrees two-theta, in order of rising 2θ:
2θ (°), I_rel, h k l
27.08, 84, 0 0 2
28.16, 91, 0 2 0
35.58, 100, 2 1 1
53.55, 48, 2 1 3
54.79, 54, 2 3 1
69.06, 34, 2 3 3

=====

Starting from a PBE-relaxed structure, the X-ray diffraction stick pattern of TbSi2Pd2 was simulated for Cu Kα (weighted mean of Kα1 and Kα2).
Peak positions follow from Bragg's law for the DFT cell and can differ from measured ones.

Crystal structure
a b c (Å): 4.1641 4.1641 9.9823
angles (deg): 90.00 90.00 90.00
Atoms (fractional coordinates):
Tb 0.0000 0.0000 0.0000
Tb 0.5000 0.5000 0.5000
Si 0.0000 0.0000 0.3834
Si 0.0000 0.0000 0.6166
Si 0.5000 0.5000 0.1166
Si 0.5000 0.5000 0.8834
Pd 0.0000 0.5000 0.2500
Pd 0.0000 0.5000 0.7500
Pd 0.5000 0.0000 0.2500
Pd 0.5000 0.0000 0.7500

Main lines, sorted by position (10 to 80 degrees two-theta):
d 3.843, I = 26; d 2.599, I = 27; d 2.536, I = 100; d 2.496, I = 17; d 2.082, I = 36; d 1.625, I = 13; d 1.599, I = 17; d 1.472, I = 12; d 1.448, I = 15; d 1.273, I = 22

Starting from a PBE-relaxed structure, the X-ray diffraction stick pattern of Rb2NbTlF6 was simulated for Cu Kα (weighted mean of Kα1 and Kα2).
Peak positions follow from Bragg's law for the DFT cell and can differ from measured ones.

Crystal structure
a b c (Å): 6.7382 6.7382 6.7382
angles (deg): 60.00 60.00 60.00
Atoms (fractional coordinates):
Rb 0.2500 0.2500 0.2500
Rb 0.7500 0.7500 0.7500
Nb 0.0000 0.0000 0.0000
Tl 0.5000 0.5000 0.5000
F 0.2210 0.2210 0.7790
F 0.2210 0.7790 0.2210
F 0.2210 0.7790 0.7790
F 0.7790 0.2210 0.2210
F 0.7790 0.2210 0.7790
F 0.7790 0.7790 0.2210

Main lines, sorted by position (10 to 80 degrees two-theta):
d 4.765, I = 17; d 3.369, I = 100; d 2.873, I = 8; d 2.382, I = 34; d 2.131, I = 7; d 1.945, I = 41; d 1.685, I = 22; d 1.507, I = 21; d 1.375, I = 7; d 1.273, I = 23
-- stop --
-- Completed --
4